[Exercise]
Please say how many lines of the calculation results below hold the word "Pt", as a bare number.

[Material]
+++
Entry 1:
31
Properties=species:S:1:pos:R:3 method="wB97M-V/def2-TZVPD" orbital_gap_ev=3.73 homo_energy_ev=-11.03 e_tot_ev=-16189.9958 largest_force_ha_per_bohr=0.0856 charge=+2 lumo_ha=-0.2681
O -1.630 -1.790 -3.582
O 0.939 -4.197 -5.906
O -3.092 -5.472 -1.817
O 1.179 2.627 2.941
O -5.104 -0.725 -6.312
N 3.361 3.760 3.557
C 2.069 2.009 3.782
C 0.552 1.814 2.041
C 1.940 3.798 5.504
C 2.814 3.017 4.599
H -0.926 -1.485 -2.977
H -4.405 -0.894 -5.677
H 1.246 1.284 1.389
H -0.151 1.031 2.326
H 1.091 4.158 4.922
H -2.658 -6.136 -2.357
H 2.383 4.644 6.030
H -2.766 -4.627 -2.135
H 0.251 -3.708 -5.450
H -5.006 -1.308 -7.069
H 0.088 2.604 1.450
H 4.027 3.264 2.982
H 3.624 2.440 5.046
H 2.795 1.341 3.320
H 1.492 1.352 4.433
H 1.613 3.127 6.298
H 0.976 -4.044 -6.853
H -4.047 -5.441 -1.915
H -5.914 -0.988 -5.870
H 2.543 3.648 2.976
H 0.718 -5.102 -5.675

=====

Entry 2:
78
Properties=species:S:1:pos:R:3 method="wB97M-V/def2-TZVPD" orbital_gap_ev="6.19 / 5.82" homo_energy_ev="-4.07 / -4.13" spin_multiplicity=3 e_tot_ev=-78873.8850 largest_force_ha_per_bohr=0.0390 charge=-1 lumo_ha="0.0778 / 0.0622"
Pt -0.671 0.731 -1.130
S -1.267 -1.462 -2.160
S 3.578 2.507 -1.258
F -7.025 -1.841 -0.935
F -5.872 0.608 -1.413
F -5.466 -4.096 -1.048
F -2.826 -3.914 -1.556
F -3.257 0.788 -2.028
O -1.271 0.633 1.074
N 1.505 1.024 -1.678
C -5.123 -0.508 -1.458
C -1.150 0.759 2.338
C 4.228 -4.114 -2.705
C 1.899 0.335 1.712
C 0.822 3.280 -1.527
C -2.264 3.575 1.651
C -3.043 2.474 2.373
C 4.794 -1.386 -1.357
C 1.846 2.280 -1.517
C 3.792 0.775 -1.379
C 1.988 -4.002 -1.624
C -3.924 1.715 1.381
C -1.980 1.623 4.459
C 4.023 -4.053 -0.202
C -0.503 2.773 -1.467
C -4.911 -2.888 -1.264
C 0.000 5.532 -1.636
C 3.553 -2.015 -1.532
C 0.968 -0.686 2.372
C 2.545 0.160 -1.588
C -0.141 0.059 3.076
C -0.117 0.132 4.452
C 3.442 -3.533 -1.524
C -2.932 -1.550 -1.784
C 2.434 -1.223 -1.680
C 0.474 -1.687 1.332
C 1.062 4.655 -1.609
C 4.928 -0.009 -1.286
C -5.708 -1.747 -1.216
C -3.779 -0.426 -1.757
C -1.542 3.681 -1.610
C -2.055 1.583 3.085
C -3.560 -2.786 -1.533
C -1.302 5.046 -1.659
C -1.040 0.884 5.160
H 2.309 1.025 2.449
H 1.320 0.907 0.984
H -3.692 2.935 3.132
H 5.689 -1.985 -1.270
H -1.005 0.919 6.240
H 1.311 -2.292 0.988
H -0.295 -2.337 1.746
H 2.719 -0.168 1.200
H 1.536 -1.241 3.135
H 1.393 -3.608 -0.805
H 5.265 -3.790 -2.690
H 0.182 6.598 -1.665
H 1.452 -1.626 -1.860
H -1.574 3.122 0.942
H 5.896 0.444 -1.140
H 1.948 -5.089 -1.573
H -2.942 4.228 1.104
H 5.081 -3.823 -0.114
H -2.560 3.319 -1.646
H 2.083 5.015 -1.655
H 3.783 -3.793 -3.644
H 4.208 -5.201 -2.669
H -3.297 1.306 0.594
H 1.534 -3.691 -2.562
H -4.655 2.387 0.935
H 0.649 -0.414 4.991
H 3.900 -5.131 -0.133
H 0.053 -1.163 0.473
H -2.675 2.252 5.003
H -2.131 5.740 -1.704
H 3.502 -3.596 0.636
H -1.689 4.169 2.361
H -4.448 0.896 1.874

=====

Entry 3:
18
Properties=species:S:1:pos:R:3 method="wB97M-V/def2-TZVPD" orbital_gap_ev=8.04 homo_energy_ev=-7.42 e_tot_ev=-8899.0896 smiles="C=C/C(C)=C/N.O" largest_force_ha_per_bohr=0.0482 lumo_ha=0.0229
O -0.912 2.792 -3.402
N 1.664 0.978 1.217
C -1.074 -1.490 0.546
C 0.315 -0.897 0.505
C -2.116 -1.021 1.233
C 0.536 0.135 1.342
C 1.388 -1.578 -0.302
H 1.906 -0.917 -1.000
H -1.102 3.721 -3.311
H 2.163 0.732 0.387
H 0.021 2.762 -3.115
H 2.117 -1.871 0.463
H -1.362 -2.225 -0.197
H -2.161 -0.226 1.966
H 1.030 -2.481 -0.786
H -3.133 -1.288 0.950
H 1.415 1.914 1.458
H -0.095 0.226 2.212

=====

Entry 4:
19
Properties=species:S:1:pos:R:3 method="wB97M-V/def2-TZVPD" orbital_gap_ev=7.73 homo_energy_ev=-7.84 e_tot_ev=-15029.0706 smiles="Nc1cc2ccccc2oc1=O" largest_force_ha_per_bohr=0.1272 lumo_ha=-0.0040
O 3.273 -0.954 0.517
O 1.498 0.396 0.820
N 1.956 -2.494 -1.442
C -0.207 -1.425 -0.634
C 1.260 -1.470 -0.811
C -2.070 0.548 -0.242
C -0.718 -0.042 -0.164
C -1.406 2.530 0.974
C 2.155 -0.665 0.131
C 0.237 0.759 0.549
C -2.395 1.656 0.395
C -0.133 1.930 1.235
H -2.792 -0.218 -0.706
H 0.914 2.343 1.573
H -0.834 -2.227 -1.010
H -1.836 3.416 1.585
H 1.620 -3.419 -1.848
H 3.010 -2.616 -1.448
+++

[Here it is]
1